Sweet talk can’t sugar-coat the deadly link to heart disease

People who consume 17-21 per cent of their calories as added sugar have a 38 per cent greater risk of death from cardiovascular disease

The sugar content of one glass of pure orange juice and a yogurt exceed the WHO recommended daily limit for children. Photograph: Thinkstock

In 1972, when John Yudkin wrote Pure, White and Deadly: How Sugar is Killing Us and What We Can Do to Stop it, his theories were ridiculed by the food industry and ignored by the medical profession. Media commentators portrayed him as a crank, on a par with macrobiotic food eaters, vegans and organic farmers, whose advice could not be taken seriously.

Now it seems that sugar is indeed killing us. Findings from the National Health and Nutrition Examination Survey of 31,147 adults in the US (1988-2010), published in the Journal of the American Medical Association in March, show that people who consumed 17-21 per cent of their calories as added sugar had a 38 per cent greater risk of death from cardiovascular disease (CVD) compared with those who consumed just 8 per cent of their calories as sugar.

The risk of CVD tripled for adults who consumed a quarter or more of their calories as sugar.

**Unrelated to this text: data records:**
┌──
{
  "formula": "Sr6Ca2Mn3Fe5O20",
  "functional": "PBE+U",
  "state": "optimized geometry",
  "cell": [[11.1478, 0.0000, 0.0000], [-0.0417, 11.3063, 0.0000], [-5.5116, -5.6280, 15.7893]],
  "species": ["Sr", "Sr", "Sr", "Sr", "Sr", "Sr", "Sr", "Sr", "Sr", "Sr", "Sr", "Sr", "Sr", "Sr", "Sr", "Sr", "Sr", "Sr", "Sr", "Sr", "Sr", "Sr", "Sr", "Sr", "Ca", "Ca", "Ca", "Ca", "Ca", "Ca", "Ca", "Ca", "Mn", "Mn", "Mn", "Mn", "Mn", "Mn", "Mn", "Mn", "Mn", "Mn", "Mn", "Mn", "Fe", "Fe", "Fe", "Fe", "Fe", "Fe", "Fe", "Fe", "Fe", "Fe", "Fe", "Fe", "Fe", "Fe", "Fe", "Fe", "Fe", "Fe", "Fe", "Fe", "O", "O", "O", "O", "O", "O", "O", "O", "O", "O", "O", "O", "O", "O", "O", "O", "O", "O", "O", "O", "O", "O", "O", "O", "O", "O", "O", "O", "O", "O", "O", "O", "O", "O", "O", "O", "O", "O", "O", "O", "O", "O", "O", "O", "O", "O", "O", "O", "O", "O", "O", "O", "O", "O", "O", "O", "O", "O", "O", "O", "O", "O", "O", "O", "O", "O", "O", "O", "O", "O", "O", "O", "O", "O", "O", "O", "O", "O", "O", "O"],
└──

Everyone needs daily calories to stay healthy, and the number varies from person to person depending on their age, height, sex and activity levels.


An average adult needs 2,000 calories a day that preferably should come from cereals, fruit, vegetables, fish, meat, and other foods containing little or no free sugars.

Free sugar is added to food by manufacturers, chefs, cooks and consumers. A gramme of sugar contains four calories, so the new research means that adults who consume fewer than 160 calories (40g) of added sugar every day reduce their risk of CVD.

Adults who derive 340-420 calories (85-105g) a day from added sugar are much more likely to develop heart disease, and people consuming 500 calories (125g) a day from added sugar triple their risk.

Easy to exceed A quick trip to my local supermarket shows how unbelievably easy it is to exceed 40g of added sugar. Breakfast bars contain 37g of sugar per 100g. Sugary cereals have an average of 35g of sugar per 100g.

Most of these are labelled as high in vitamins and calcium to lull the customer into thinking they are eating healthily.

Sauces are loaded with sugar: sweet chilli has 44g per 100g and pickles 20g. Most low-fat yogurts contain up to 15g of sugar. An interesting finding from my field trip is that cereals, yogurts and other foods have misleading labels saying the recommended daily amount of sugar is 90g a day.

Since 2004, the WHO has recommended that no more than 10 per cent of adults and children’s daily calories should come from added sugar.

Adults should consume no more than 50g of added sugar every day and children no more than 30g. The sugar content of one glass of pure orange juice and a yogurt, which most parents would consider healthy, exceed the WHO recommended daily limit for children. Add a peanut butter sandwich (11g of sugar per 100g) and beans on toast for tea (7g) and your child is well on their way to CVD. A single serving of a sugary drink exceeds the 10 per cent child limit.

In March, the WHO recommended that the amount of daily calories that should come from added sugar should be a “more ideal” 5 per cent.

This means that adults should consume no more than 25g of sugar a day and children no more than 15g if they want “additional health benefits”.

One serving of a sugary breakfast cereal exceeds the new child limit. The 5 per cent guideline is consistent with the new CVD research.

New guidelines

Implementing the new guidelines will require a seismic shift in food production and consumption. Food and drinks industry lobbyists will insist that sugar is not the problem and that consumers need more education. This is true.

Consumers need to know how to analyse food labels and resist being manipulated by misleading advertising. Has anyone noticed the huge increase in TV advertising of children’s food directed at parents?

Irish Healthy Eating Guidelines from the Food Safety Authority say "sugar needs to be limited" and "not too much, not too often": this advice is no help at all.

A sugar tax is desperately needed but a spokesperson from the Department of Finance says there are no plans to introduce one in the next budget.

So, it’s every shopper for themselves. From now on just don’t buy any food or drink with added sugar. It’s as simple as that.

Dr Jacky Jones is a former HSE regional manager of health promotion drjackyjones@gmail.com